What is the equivalent of Ansible's delegate_to in Puppet - puppet

When using the Ansible provisioner, the delegate_to: ip_address can be used to execute actions on the machine that originally invoked ansible (the host) instead of the guest.
When using Puppet, what would be a similar equivelent?

Functions in a manifest are executed on the puppet master (if using agent). Resources are evaluated by the agent on the node. Note that this happens in stages, so functions are all called when the manifest is compiled and resources happen later after the compiled catalog is sent to the agent. Catalog caching can also prevent functions from being called on ever invocation of the puppet master.

Puppet implements a client / server paradigm (agent / master in Puppet jargon). I'm not sure whether that maps cleanly to Ansible's guest / host.
Nevertheless, Puppet DSL functions run on the master during catalog building. You can write custom DSL functions relatively easily, and you can run arbitrary commands (within the capabilities of the relevant user) via the built-in generate() function.
Additionally, if the master manages itself (which is common) then you can use exported resources to cause resources to be defined during building of any node's catalog that can later be collected and applied to the master.
Puppet does not provide any means, however, to cause code to run on the master as part of the process of the agent applying a catalog to a different node.


Bolt plan in puppet dsl

We have heavily invested in writing puppet modules. Now we have a requirement to use puppet in agent less mode in one of our environment for that we are planing using puppet bolt.
My question is if we write puppet plan in puppet dsl. Can we target those plans to a remote VM if it’s not having puppet agent installed.
The target system needs an interpreter or it won't understand the code you're sending it. The same as if you write a Bolt task in Python, you need Python on the target machine for it to be able to run the code.
But a Bolt Plan has inbuilt tasks to handle this, here's an example plan to install git via chocolatey with a bolt plan;
plan git_install::Windows_git (
TargetSpec $targets
) {
apply_prep($targets) # This installs the PE agent temporarily so it can
include chocolatey # include and use regular Puppet class from the chocolatey module
package { git :
ensure. => 'present',
provider => 'chocolatey',
If you already have the target connecting to a PE server you probably don't need to use apply_prep though as the agent is already installed.
This is a real life saver though if you have to manage a legacy infrastructure alongside a PE managed infrastructure as at the time of writing a PE module you can create a plan only a couple of lines long that'll allow you to reuse the same class on your legacy infrastructure.
You do not need to install anything on a target upfront in order to run a plan that executes tasks on the target (if that is what you are asking). If you mean that you are using Bolt's ability to apply puppet resources then Bolt will install the puppet agent package without you having to do anything. See details in the documentation here: https://puppet.com/docs/bolt/latest/applying_manifest_blocks.html

How to use multiple different puppet masters from one puppet agent?

There is the need that one puppet agent contacts some different puppet masters.
Reason: there are different groups that create different and independent sets of manifests.
Possible groups and their tasks
Application Vendor: configuration of application
Security: hardening
Operations: routing tables, monitoring tools
Each of these groups should run it's own puppet master - the data (manifests and appropriate data) should be strictly separated. If it is possible, one group should even not see / have access to the manifests of the others (we are using MAC on the puppet agent OSes).
Thoughts and ideas that all failed:
using (only) hira is not flexible as needed - there is the need to have different manifests.
r10k: supports more than one environment, but in each environment can only access one set of manifests.
multi but same puppet server using e.g. DNS round robin: this is the other way round. We need different puppet masters.
Some ways that might be possible but...
running multiple instances of puppet agents. That 'feels' strange. Advantage: the access rights can be limited in the way as needed (e.g. the application puppet agent can run under the application user).
patching puppet that it can handle more than one puppet master. Disadvantage: might be some work.
using other mechanisms to split responsibility. Example: use different git-repositories. Create one puppet master. The puppet master pulls all the different repositories and serves the manifests.
My questions:
Is there a straight forward way implementing this requirement with puppet?
If not, is there some best practice how to do this?
While I think what you are trying to do here is better tackled by incorporating all of your modules and data onto a single master, and that utilizing environments will be effectively the exact same situation (different masters will provide a different set of modules/data) this can be achieved by implementing a standard multi-master infrastructure (one CA master for cert signing, multiple compile masters with certs signed by the same CA master, configured to forward cert traffic elsewhere) and configure each master to have whatever you need. You then end up having to specify which master you want to check in to on each run (a cronjob or some other approach), and have the potential for one checkin to change settings set by another (kinda eliminating the hardening/security concept).
I would urge you to think deeper on how to collaborate your varied aspects (git repos for each division's hiera data and modules that have access control) so that a central master can serve your needs (and access to that master would be the only way to get data/modules from everywhere).
This type of setup will be complex to implement, but the end result will be more reliable and maintainable. Puppet inc. may even be able to do consultation to help you get it right.
There are likely other approaches too, just fyi.
I've often found it convenient to multi-home a puppet agent for development purposes, because with a local puppet server you can instantly test manifest changes - there's no requirement to commit, push and r10k deploy environment like there is if you're just using directory environments and a single (remote) puppet server.
I've found the best way to do that is to just vary the path configuration (otherwise you run into problems with e.g. the CA certs failing to verify against the other server) - a form of your "running multiple instances of puppet agents" suggestion. (I still run them all privileged, so they can all use apt package {} etc.)
For Puppet 3, I'd do this by varying the libdir with --libdir (because the ssldir was under the libdir), but now (Puppet 4+) it looks more sensible to vary the --confdir. So, for example:
$ sudo puppet agent -t # Runs against main puppet server
$ sudo puppet agent -t \
--server=puppet.dev.example.com \
--confdir=/etc/puppetlabs/puppet-dev # Runs against dev puppet server

Someone pasted quantum chemistry results at this point.
~~~
Record 1
This record from the OMol25 dataset describes a molecular structure, C15H40NaO5 in a non-equilibrium geometry. The level of theory is ωB97M-V with the def2-TZVPD basis set.

Computed properties:
F_max (eV Å⁻¹): 11.34
LUMO level (eV): -2.49
Total charge: +1
Highest occupied orbital energy (eV): -12.815
HOMO-LUMO gap (eV): 10.321

Geometry (Å):
H  -0.858  -2.829  -0.468
H  1.702  0.922  -1.800
C  -0.351  2.313  -0.970
H  -2.147  -0.360  3.303
O  0.434  -1.475  -0.996
H  -3.697  -2.114  0.059
H  -2.324  0.792  1.937
H  3.314  -0.105  1.713
O  -0.413  1.054  -1.520
H  3.529  -0.415  -0.805
H  -0.946  4.229  -1.789
H  1.399  -2.109  1.288
C  2.473  -0.081  1.020
C  0.729  -0.553  3.098
C  -1.676  0.447  2.743
H  -0.034  1.087  -2.402
H  0.798  3.516  0.296
O  0.197  0.925  1.254
H  -3.603  1.102  -1.855
C  0.224  -2.710  -0.421
H  0.303  -1.591  -1.940
H  3.235  2.164  -1.482
O  1.584  0.295  -1.082
C  -0.346  -0.089  2.098
C  -3.817  -1.488  -0.825
H  0.328  -4.712  -1.283
H  -4.832  -1.091  -0.842
H  2.672  2.468  0.084
H  -1.726  -1.507  0.456
C  3.288  1.760  -0.471
H  -0.261  -2.344  1.536
C  2.810  0.299  -0.403
H  -2.210  1.583  -1.060
H  1.996  -4.028  -0.957
H  -1.475  1.301  3.390
H  -3.620  -2.077  -1.721
H  0.615  1.647  1.729
C  0.962  -3.827  -1.240
H  1.548  -0.904  2.470
H  1.791  2.819  -0.996
H  -3.080  0.046  0.491
Na  -0.020  -0.054  -0.345
H  0.748  -3.753  1.343
O  -1.569  -0.957  -0.315
H  0.983  -3.619  -2.309
H  4.349  1.895  -0.261
H  1.156  0.318  3.596
H  -1.947  0.410  -2.285
H  0.387  -1.263  3.851
H  1.797  0.604  1.532
C  0.576  -2.745  0.964
H  -1.135  2.252  -0.215
H  0.186  3.399  -2.767
C  -2.655  0.693  -1.506
H  1.325  1.948  0.466
H  -1.527  2.912  -2.807
C  -2.783  -0.361  -0.475
C  -0.707  3.234  -2.165
H  1.981  -1.054  1.008
C  0.967  2.625  -0.309
H  -0.628  -0.841  1.360

---

Record 2
This record from the OMol25 dataset describes 5 unconnected molecules or ions with the total composition C15H40O5 in a non-equilibrium geometry. The level of theory is ωB97M-V with the def2-TZVPD basis set.

Computed properties:
SMILES: CC(C)O.CC(C)O.CC(C)O.CC(C)O.CC(C)O
F_max (eV Å⁻¹): 3.01
LUMO level (eV): 0.57
Highest occupied orbital energy (eV): -10.008
HOMO-LUMO gap (eV): 10.575

Geometry (Å):
H  -0.284  -0.487  -5.683
H  0.141  0.584  2.792
H  -1.978  -0.909  -5.928
C  4.118  3.922  -0.669
C  -0.188  -0.220  -3.014
H  0.397  -2.608  4.460
H  2.841  5.789  -1.929
H  -0.844  -3.832  4.091
H  4.054  2.250  -2.597
O  2.365  -4.607  4.651
H  -3.541  2.718  -0.842
H  4.026  2.988  -0.102
C  0.501  1.888  1.024
O  3.016  5.044  -2.511
O  1.991  0.198  1.900
H  2.450  1.768  -2.070
H  0.743  -0.546  -3.497
H  -2.921  -0.870  -1.203
H  -5.002  0.974  -0.046
H  -1.190  -0.406  0.952
C  -3.723  -0.750  -0.468
H  1.119  -3.867  6.740
H  -0.006  1.805  0.053
C  2.962  3.876  -1.664
C  0.618  0.583  1.804
O  -1.145  -2.289  -3.753
H  4.095  4.820  -0.047
C  0.969  -4.684  4.815
H  0.673  -5.655  4.404
~~~

Trigger puppet run on update of manifest / facts

I'm working on a tool which manages WordPress instances using puppet. The flow is the following: the user adds the data of the new WordPress installation in the web interface and then that web interface is supposed to send a message to the puppet master to tell it to deploy it to the selected machine.
Currently the setup is done via a manifest file which contains the declaration of all WordPress instances, and that is applied manually via puppet apply on the puppet agent. This brings me to my 2 questions:
Are manifests the correct way of doing this? If so, is it possible to apply them from the puppet master to a specific node instead of going to the agent?
Is it possible to automatically have a puppet run triggered once the list of instances is altered?
To answer your first question, yes there's absolutely a way of doing this via a puppetmaster, what you have at the moment is a masterless setup which assumes you're distributing your configuration with some kind of version control (like git) or manual process. This is a totally legitimate way of doing things if you don't want a centralized master.
If you want to use a master, you'll need to drop your manifest in the $modulepath of your master (it varies depending on your version, you can find it using puppet config print modulepath on your master) and then point the puppet agent at the master.
If you want to go down the master route, I'd suggest following the puppet documentation which will help you get started.
The second question brings me on to a philosphical argument of 'is this really want you want to do?'
Puppet traditionally (in my opinion) is a declarative config management tool that is designed to make your systems look a certain way. You write code to determine 'this is how I want it to look' and Puppet will converge to make it look that way. What you're looking to do is more of an orchestration task (ie when X do Y). There are ways of doing this with Puppet like using mcollective (to trigger a puppet run) which is managed by a webhook, but I think there are better tools for the job.
I'd suggest looking at ansible, saltstack or Chef's knife tool to do deploys like this.

How do I get a Jenkins server to push bash code to a different server?

I have Jenkins installed on a Linux server. It can run builds on itself. I want to create either a Freestyle Project or an External Job that transfers a bash script and runs it on two separate linux servers. Where in the GUI do I configure the destination server when I create a build? I have added "nodes" in the GUI. I can see the free space of the servers in the Jenkins GUI, so I know the credentials work. But when I create a build, I see no field that would tell Jenkins to push the bash scripts and run them on certain servers.
Are Jenkins nodes just servers that lend computing power to the master server? Or are they the targets of Jenkins builds? I believe that Jenkins "slaves" provide computing power to the Jenkins master server.
Normally Jenkins is used to integrate code. What do you call the servers that Jenkins pushes code into? They would be called Chef clients or Puppet agents if I was using Chef or Puppet for integrating code. I've been doing my own research, but I don't seem to know the specific vocabulary.
I've been working with such tools for several years. And for as far as I know there isn't a Ubiquitous Language for this.
The node's you can configure in Jenkins itself to add 'computing power' are indeed called build slaves.
Usually, external machines you will copy to, deploy to or otherwise use in jobs are called "target machine". As it will be the target of an action in your job.
Nodes can be used in several forms, you can use agents, which will require a small installation on the node machine. Which will create a running agent service with which Jenkins can communicate.
Another way is simply allow Jenkins to connect to a machine via ssh and let it execute commands there. Both are called nodes and could be called build slaves. But the first are usually dedicated nodes while the second can be any kind of machine as long as the ssh user can execute the build.
I also have not found any different terms for these two types.
It's probably not a real answer to your questions, but I do hope it helped.

Deploying and scheduling changes with Ansible OSS

Please note: I am not interested in any enterprise/for-pay (Tower?) solutions here, only solutions available via Ansible's OSS offering.
OK so I've got my Ansible project configured and working perfectly, woo hoo! Looks something like this:
There's several things I need to accomplish to get this working in a production environment:
I need to be able to automate the deployment of changes to this project
I need to schedule playbooks to be ran, say, every 30 seconds (to ensure all managed nodes are always in compliance)
So my concerns:
How are changes usually deployed to live Ansible projects? Say the project is located at myansible01.example.com:/opt/ansible (my Ansible server). Is it sufficient to simply delete the Ansible project root (rm -rf /opt/ansible) and then copy the latest (containing changes) Ansible project back to the same location? What happens if Ansible is currently running any plays while I perform this "drop-n-swap"?
It looks like the commercial offering (Ansible Tower) has a scheduling feature built into it, but not the OSS offering. How can I schedule Ansible OSS to run plays at certain times? For instance, I might want certain plays to be ran every 30 seconds, so as to ensure nodes are always within compliance. Is cron sufficient to do this, or is there a more standard approach?
For this kind of task you typically want an orchestration engine such as Jenkins to do all your, well, orchestration.
You can set Jenkins to run playbooks on timers or other events such as a push to an SCM such as git.
Typically a job starts by checking out a tag/branch of our Ansible code base and then applying it to all of our specified servers so you always know what is being run. If you want, this can simply be the head on master (in git terms) so it's always applying the most recent changes. If you were also to have this to hook into your SCM repo then a simple push will force those changes to be applied to all of your servers.
Because of that immediacy you might want to consider only doing this on some test servers that then have some form of testing done against them (such as Serverspec) to verify that your changes are good before rolling them out to a production environment.
Jenkins, by default, will not run a job while the same job is running (or if you are maxed out on executor slots) so you can always be sure that it will only pull the repo (including any changes) after your Ansible run is complete. If you have multiple jobs running you can use blocking to prevent jobs running at the same time (both trying to apply potentially different configurations to the servers) but you don't have to worry about a new job starting and pulling the repo into the already running job as Jenkins separates these into separate work spaces.
We use Jenkins for manual runs of Ansible against our environment but we also have a "self healing" Jenkins job that simply runs a tagged commit of our Ansible code base against our environment, forcing it to an idempotent state to prevent natural drift of configurations. When we need to do something different to the environment or are running a slightly further ahead commit of our code base in to it we can easily disable the self healing job until we're happy with things and then either just re-enable the job to put things back or advance the tag that Jenkins is using to now use the more recent commit.
